If you are one of many people who suffer from misshapen, chipped, or severely discoloured teeth, you may find yourself covering your mouth when you smile or speak, affecting your self-esteem and mental health. 

What comes next are data records, not part of the piece:
- - -
The following is a DFT calculation (PBE) of a relaxed structure of NiSe2.

Calculated values
ΔE_f, eV/atom: -0.5550
Calculated density, g/cm3: 6.615

Cell lengths 3.7134, 4.9010, 5.9755 Å; angles 90.00, 90.00, 90.00 degrees
Positions (direct):
1 Ni 0.5000 0.5000 0.5000
2 Ni 0.0000 0.0000 0.0000
3 Se 0.5000 0.2905 0.8737
4 Se 0.5000 0.7095 0.1263
5 Se 0.0000 0.2095 0.3737
6 Se 0.0000 0.7905 0.6263


Here is a relaxed OsO2 crystal from the Materials Project database. Energies are from PBE-GGA.

POSCAR file:
```
OsO2
1.0
-1.0931 -4.8041 0.0526
4.6998 -1.0581 1.0343
-0.9972 0.2797 4.8171
Os O
4 8
Cartesian
1.8513 -0.3892 2.9257
0.0000 0.0000 0.0000
-1.0451 -2.2622 2.4349
1.8033 -2.9311 0.5435
3.1316 -3.9816 1.6376
2.0454 -1.1734 4.7731
3.4797 -1.5239 2.5704
0.9121 -1.9514 2.0637
-0.8702 -4.0586 3.3336
0.5641 -4.4091 1.1310
-0.5221 -1.6009 4.2664
1.6974 -3.6312 3.8403
```

## Properties
The MP2020-corrected energy is -8.31 eV per atom. The calculation puts the formation energy at -1266 meV/atom. Its space-group type is Pa-3, No. 205. The volume comes out at 119.6 Å³ per cell.


ReTeSCl4, relaxed, DFT PBE; E = -126.38 eV/cell; space-group type = I-4 (82)
1.0
6.4765 -8.1353 -0.2753
-2.6560 -0.4749 10.0461
-7.9417 -0.4349 -6.7041
Cl S Re Te
16 4 4 4
Direct
0.8655 0.3042 0.8155 Cl
0.4887 0.0499 0.1845 Cl
0.2979 0.3913 0.1964 Cl
0.2684 0.5331 0.6199 Cl
0.4669 0.0868 0.7352 Cl
0.9501 0.1345 0.4388 Cl
0.6958 0.5113 0.5612 Cl
0.1008 0.7626 0.8846 Cl
0.7838 0.8992 0.6618 Cl
0.3516 0.7316 0.2648 Cl
0.6086 0.8051 0.9066 Cl
0.9132 0.6484 0.3801 Cl
0.2374 0.1219 0.3382 Cl
0.1949 0.1015 0.8036 Cl
0.8781 0.2162 0.1154 Cl
0.8985 0.7021 0.0934 Cl
0.5560 0.4299 0.7976 S
0.6323 0.7584 0.2024 S
0.5701 0.3677 0.1261 S
0.2416 0.4440 0.8739 S
0.4547 0.5464 0.1480 Re
0.4536 0.6016 0.9084 Re
0.3984 0.3067 0.8520 Re
0.6933 0.5453 0.0916 Re
0.3394 0.8259 0.9019 Te
0.9239 0.4375 0.0981 Te
0.5625 0.6606 0.4864 Te
0.1741 0.0761 0.5136 Te

Na5Y2Mg2P3S3O24, relaxed, DFT PBE; E = -776.41 eV/cell; space-group type = P1 (1)
1.0
-7.2801 5.4924 0.8717
-0.8115 -8.9510 1.5567
5.2569 3.3052 22.3546
O P Na S Mg Y
72 9 15 9 6 6
Direct
0.8654 0.3413 0.9223 O
0.1373 0.6686 0.7567 O
0.3589 0.4940 0.0769 O
0.8169 0.0267 0.8060 O
0.7861 0.9759 0.6976 O
0.0239 0.8256 0.4113 O
0.7828 0.8074 0.1989 O
0.4489 0.1399 0.5319 O
0.8811 0.3566 0.6390 O
0.1106 0.4599 0.8630 O
0.5398 0.6911 0.9667 O
0.6551 0.5265 0.9213 O
0.2056 0.0184 0.5897 O
0.5310 0.8439 0.7556 O
0.4524 0.3121 0.0325 O
0.9897 0.1805 0.5880 O
0.3114 0.8596 0.9757 O
0.8587 0.3090 0.5303 O
0.7984 0.8337 0.9123 O
0.3611 0.8669 0.5776 O
0.1464 0.4783 0.2559 O
0.8194 0.9852 0.4135 O
0.1497 0.6502 0.0809 O
0.8303 0.3118 0.2459 O
0.1698 0.9805 0.9125 O
0.9975 0.8135 0.0877 O
0.9683 0.1876 0.3070 O
0.0214 0.7995 0.6988 O
0.0156 0.1909 0.9133 O
0.1944 0.9735 0.1944 O
0.6780 0.5401 0.5320 O
0.3212 0.8468 0.2554 O
0.3589 0.8794 0.8678 O
0.0137 0.2096 0.1989 O
0.3477 0.4686 0.3668 O
0.8143 0.8100 0.5878 O
0.5035 0.8640 0.0783 O
0.2067 0.1860 0.0884 O
- - -

While all dental treatments have their pros and cons, porcelain veneers are an excellent way to boost your self-confidence and instantly transform your smile. If you are considering veneers versus other cosmetic or orthodontic treatments, you may be asking the question, “are veneers worth it?”  


Are Veneers Worth It: What Do They Do? 

Dental veneers consist of thin porcelain or composite resin shell bonded to the front of an affected tooth to disguise cosmetic flaws and create the perfect smile. A veneer aims to change the tooth’s size, shape, and colour, blending it evenly with your natural teeth. 

cosmetic treatment are veneers worth it eppingDental veneers are typically used to address:

  • Chipped or broken teeth
  • Tooth discolouration due to fillings, root canal therapy, or ineffective whitening treatments
  • Teeth with minor gaps
  • A tooth with an irregular shape
  • Microdontia

However, there are several circumstances in which dental veneers may be unsuitable. People who suffer from bruxism drastically reduce their veneers’ lifespan and damage the underlying teeth because of the undue pressure. Individuals with severe gum disease or extensive decay should not get dental veneers; veneers are cosmetic treatments only and do not address underlying oral health issues.


Are Veneers Worth It: How Long Do Dental Veneers Last?

The durability and longevity of dental veneers depend on the materials used for fabrication and how well you care for them. 

The best dental veneers are made from porcelain. Porcelain veneers are the preferred option for most patients due to their realistic opalescent lustre and custom-designed wafer-thin appearance, allowing them to blend seamlessly with your natural teeth and give you a perfect smile. Porcelain veneers are also stain-resistant and require less maintenance than other cosmetic treatments or restorations. 

At Prime Dental Specialists, we use state-of-the-art Smile Design technology to construct a digital representation of your smile. We partner with experienced dental ceramicists who hand-craft custom dental veneers that are carefully cemented in place for a beautiful, even smile.

Porcelain veneers can last from 10 to 20 years if you brush and floss twice daily and avoid risky behaviours, such as eating hard lollies, chewing ice, and opening packets with your teeth. Their long-lasting durability makes porcelain dental veneers a worthwhile investment in your smile.  

An alternative to porcelain veneers is dental bonding which uses composite resin to build up and cover an affected tooth. Bonding is more affordable than porcelain veneers and can be applied in a single session. However, it is typically less durable and prone to staining and chipping if you don’t look after your teeth properly. Bonded teeth can last for 4 to 8 years before you require composite replacement. 


Do You Dream of a Perfect Smile?

Although porcelain veneers have a higher initial price than many solutions in cosmetic dentistry, they represent a valuable long-term investment as they require fewer repairs and replacements. 

Do you want to craft your dream smile but are wondering, “are veneers worth it?” Call the team at Prime Dental Specialists on (02) 9876 8828 to book a consultation and discuss your options with our experienced dentists.